Request >
Next, quote the whole of the data below word for word.

Entries >
- - -
The following is a theoretical powder XRD pattern of As2Au. It was derived from a GGA-PBE-relaxed structure, using Cu Kα (weighted mean of Kα1 and Kα2).

Main lines, by angle (15 to 90 degrees two-theta):
2θ 24.4, intensity 100, hkl 1 1 2
2θ 28.2, intensity 99, hkl 0 0 4
2θ 28.3, intensity 53, hkl 2 0 0
2θ 29.0, intensity 32, hkl 0 2 1
2θ 40.4, intensity 59, hkl 2 0 4
2θ 41.0, intensity 30, hkl 2 2 1
2θ 45.8, intensity 52, hkl 0 2 5
2θ 47.6, intensity 80, hkl 1 1 6
2θ 47.8, intensity 64, hkl 3 1 2
2θ 49.9, intensity 25, hkl 2 2 4

Atomic structure:
a = 6.304 Å, b = 6.345 Å, c = 12.667 Å
α = 90.00°, β = 90.00°, γ = 90.00°
Space group Pbca (No. 61)
Asymmetric unit:
1 As 0.112 0.086 0.179
2 As 0.120 0.683 0.928
3 Au 0.002 0.700 0.129

~~~~~

(1)
Structure and simulated X-ray powder pattern of Cs6MgHg4 (DFT lattice parameters and positions (GGA-PBE); Cu Kα (weighted mean of Kα1 and Kα2)).
Neutral-atom scattering factors, no anomalous dispersion.

Most intense lines, 5° ≤ 2θ ≤ 70°, low angle first:
Position (°2θ)	Rel. int.	hkl
19.14	376	2 0 1
24.02	872	2 1 1
25.32	1000	2 0 2
26.80	849	3 0 1
28.96	611	2 2 0
29.23	370	2 1 2
29.87	325	1 0 3
33.29	241	2 0 3
39.87	216	4 1 1
43.45	246	5 0 1
47.19	407	3 2 3
54.56	224	5 2 1

Structure:
```
Cs6MgHg4
1.0
12.3311 0.0000 0.0000
-6.1655 10.6790 0.0000
0.0000 0.0000 9.3483
Cs Mg Hg
12 2 8
Direct
0.0639 0.5320 0.0000
0.1333 0.2666 0.3160
0.1333 0.8667 0.3160
0.2666 0.1333 0.8160
0.4680 0.5320 0.0000
0.4680 0.9361 0.0000
0.5320 0.0639 0.5000
0.5320 0.4680 0.5000
0.7334 0.8667 0.3160
0.8667 0.1333 0.8160
0.8667 0.7334 0.8160
0.9361 0.4680 0.5000
0.3333 0.6667 0.6184
0.6667 0.3333 0.1184
0.2014 0.4028 0.7070
0.2014 0.7986 0.7070
0.3333 0.6667 0.3020
0.4028 0.2014 0.2070
0.5972 0.7986 0.7070
0.6667 0.3333 0.8020
0.7986 0.2014 0.2070
0.7986 0.5972 0.2070
```

=====

(2)
Structure and simulated X-ray powder pattern of TiH3Rh3 (DFT lattice parameters and positions (GGA-PBE); Cu Kα (weighted mean of Kα1 and Kα2)).
Neutral-atom scattering factors, no anomalous dispersion.

Most intense lines, 5° ≤ 2θ ≤ 70°, low angle first:
Position (°2θ)	Rel. int.	hkl
22.23	78	1 0 0
31.64	73	1 1 0
39.01	1000	1 1 1
45.36	503	2 0 0
51.07	37	2 1 0
56.35	30	2 1 1
66.08	313	2 2 0

Structure:
```
TiH3Rh3
1.0
3.9991 0.0000 0.0000
0.0000 3.9991 0.0000
0.0000 0.0000 3.9991
Ti H Rh
1 3 3
Direct
0.0000 0.0000 0.0000
0.0000 0.0000 0.5000
0.0000 0.5000 0.0000
0.5000 0.0000 0.0000
0.0000 0.5000 0.5000
0.5000 0.0000 0.5000
0.5000 0.5000 0.0000
```

=====

(3)
Structure and simulated X-ray powder pattern of LaPm6Pr (DFT lattice parameters and positions (GGA-PBE); Cu Kα (weighted mean of Kα1 and Kα2)).
Neutral-atom scattering factors, no anomalous dispersion.

Most intense lines, 5° ≤ 2θ ≤ 70°, low angle first:
Position (°2θ)	Rel. int.	hkl
29.80	1000	1 1 2
34.55	507	2 0 0
49.66	364	2 2 0
59.00	434	3 1 2
61.91	125	2 2 4

Structure:
```
LaPm6Pr
1.0
5.1915 0.0000 0.0000
0.0000 5.1915 0.0000
0.0000 0.0000 10.3869
La Pm Pr
1 6 1
Direct
0.0000 0.0000 0.0000
0.0000 0.5000 0.2510
0.0000 0.5000 0.7490
0.5000 0.0000 0.2510
0.5000 0.0000 0.7490
0.5000 0.5000 0.0000
0.5000 0.5000 0.5000
0.0000 0.0000 0.5000
```

=====

(4)
Structure and simulated X-ray powder pattern of Ca2TlHg5 (DFT lattice parameters and positions (GGA-PBE); Cu Kα (weighted mean of Kα1 and Kα2)).
Neutral-atom scattering factors, no anomalous dispersion.

Most intense lines, 5° ≤ 2θ ≤ 70°, low angle first:
Position (°2θ)	Rel. int.	hkl
18.68	115	1 2 0
26.80	100	1 2 1
32.87	1000	0 4 1
37.88	340	2 4 0
38.65	164	0 0 2
54.58	57	4 0 0
54.72	60	0 8 0
55.23	230	2 4 2
65.26	273	2 8 1
66.30	135	0 4 3
68.87	61	4 0 2
68.99	60	0 8 2

Structure:
```
Ca2TlHg5
1.0
6.7255 0.0000 0.0000
0.0000 13.4193 0.0000
0.0000 0.0000 4.6597
Ca Tl Hg
4 2 10
Direct
0.2363 0.1289 0.0000
0.2637 0.6289 0.0000
0.7363 0.3711 0.0000
0.7637 0.8711 0.0000
0.0000 0.5000 0.5000
0.5000 0.0000 0.5000
0.0000 0.0000 0.5000
0.0153 0.7515 0.5000
0.2440 0.3762 0.0000
0.2560 0.8762 0.0000
0.4847 0.2515 0.5000
0.5000 0.5000 0.5000
- - -

Here it is >
The following is a theoretical powder XRD pattern of As2Au. It was derived from a GGA-PBE-relaxed structure, using Cu Kα (weighted mean of Kα1 and Kα2).

Main lines, by angle (15 to 90 degrees two-theta):
2θ 24.4, intensity 100, hkl 1 1 2
2θ 28.2, intensity 99, hkl 0 0 4
2θ 28.3, intensity 53, hkl 2 0 0
2θ 29.0, intensity 32, hkl 0 2 1
2θ 40.4, intensity 59, hkl 2 0 4
2θ 41.0, intensity 30, hkl 2 2 1
2θ 45.8, intensity 52, hkl 0 2 5
2θ 47.6, intensity 80, hkl 1 1 6
2θ 47.8, intensity 64, hkl 3 1 2
2θ 49.9, intensity 25, hkl 2 2 4

Atomic structure:
a = 6.304 Å, b = 6.345 Å, c = 12.667 Å
α = 90.00°, β = 90.00°, γ = 90.00°
Space group Pbca (No. 61)
Asymmetric unit:
1 As 0.112 0.086 0.179
2 As 0.120 0.683 0.928
3 Au 0.002 0.700 0.129

~~~~~

(1)
Structure and simulated X-ray powder pattern of Cs6MgHg4 (DFT lattice parameters and positions (GGA-PBE); Cu Kα (weighted mean of Kα1 and Kα2)).
Neutral-atom scattering factors, no anomalous dispersion.

Most intense lines, 5° ≤ 2θ ≤ 70°, low angle first:
Position (°2θ)	Rel. int.	hkl
19.14	376	2 0 1
24.02	872	2 1 1
25.32	1000	2 0 2
26.80	849	3 0 1
28.96	611	2 2 0
29.23	370	2 1 2
29.87	325	1 0 3
33.29	241	2 0 3
39.87	216	4 1 1
43.45	246	5 0 1
47.19	407	3 2 3
54.56	224	5 2 1

Structure:
```
Cs6MgHg4
1.0
12.3311 0.0000 0.0000
-6.1655 10.6790 0.0000
0.0000 0.0000 9.3483
Cs Mg Hg
12 2 8
Direct
0.0639 0.5320 0.0000
0.1333 0.2666 0.3160
0.1333 0.8667 0.3160
0.2666 0.1333 0.8160
0.4680 0.5320 0.0000
0.4680 0.9361 0.0000
0.5320 0.0639 0.5000
0.5320 0.4680 0.5000
0.7334 0.8667 0.3160
0.8667 0.1333 0.8160
0.8667 0.7334 0.8160
0.9361 0.4680 0.5000
0.3333 0.6667 0.6184
0.6667 0.3333 0.1184
0.2014 0.4028 0.7070
0.2014 0.7986 0.7070
0.3333 0.6667 0.3020
0.4028 0.2014 0.2070
0.5972 0.7986 0.7070
0.6667 0.3333 0.8020
0.7986 0.2014 0.2070
0.7986 0.5972 0.2070
```

=====

(2)
Structure and simulated X-ray powder pattern of TiH3Rh3 (DFT lattice parameters and positions (GGA-PBE); Cu Kα (weighted mean of Kα1 and Kα2)).
Neutral-atom scattering factors, no anomalous dispersion.

Most intense lines, 5° ≤ 2θ ≤ 70°, low angle first:
Position (°2θ)	Rel. int.	hkl
22.23	78	1 0 0
31.64	73	1 1 0
39.01	1000	1 1 1
45.36	503	2 0 0
51.07	37	2 1 0
56.35	30	2 1 1
66.08	313	2 2 0

Structure:
```
TiH3Rh3
1.0
3.9991 0.0000 0.0000
0.0000 3.9991 0.0000
0.0000 0.0000 3.9991
Ti H Rh
1 3 3
Direct
0.0000 0.0000 0.0000
0.0000 0.0000 0.5000
0.0000 0.5000 0.0000
0.5000 0.0000 0.0000
0.0000 0.5000 0.5000
0.5000 0.0000 0.5000
0.5000 0.5000 0.0000
```

=====

(3)
Structure and simulated X-ray powder pattern of LaPm6Pr (DFT lattice parameters and positions (GGA-PBE); Cu Kα (weighted mean of Kα1 and Kα2)).
Neutral-atom scattering factors, no anomalous dispersion.

Most intense lines, 5° ≤ 2θ ≤ 70°, low angle first:
Position (°2θ)	Rel. int.	hkl
29.80	1000	1 1 2
34.55	507	2 0 0
49.66	364	2 2 0
59.00	434	3 1 2
61.91	125	2 2 4

Structure:
```
LaPm6Pr
1.0
5.1915 0.0000 0.0000
0.0000 5.1915 0.0000
0.0000 0.0000 10.3869
La Pm Pr
1 6 1
Direct
0.0000 0.0000 0.0000
0.0000 0.5000 0.2510
0.0000 0.5000 0.7490
0.5000 0.0000 0.2510
0.5000 0.0000 0.7490
0.5000 0.5000 0.0000
0.5000 0.5000 0.5000
0.0000 0.0000 0.5000
```

=====

(4)
Structure and simulated X-ray powder pattern of Ca2TlHg5 (DFT lattice parameters and positions (GGA-PBE); Cu Kα (weighted mean of Kα1 and Kα2)).
Neutral-atom scattering factors, no anomalous dispersion.

Most intense lines, 5° ≤ 2θ ≤ 70°, low angle first:
Position (°2θ)	Rel. int.	hkl
18.68	115	1 2 0
26.80	100	1 2 1
32.87	1000	0 4 1
37.88	340	2 4 0
38.65	164	0 0 2
54.58	57	4 0 0
54.72	60	0 8 0
55.23	230	2 4 2
65.26	273	2 8 1
66.30	135	0 4 3
68.87	61	4 0 2
68.99	60	0 8 2

Structure:
```
Ca2TlHg5
1.0
6.7255 0.0000 0.0000
0.0000 13.4193 0.0000
0.0000 0.0000 4.6597
Ca Tl Hg
4 2 10
Direct
0.2363 0.1289 0.0000
0.2637 0.6289 0.0000
0.7363 0.3711 0.0000
0.7637 0.8711 0.0000
0.0000 0.5000 0.5000
0.5000 0.0000 0.5000
0.0000 0.0000 0.5000
0.0153 0.7515 0.5000
0.2440 0.3762 0.0000
0.2560 0.8762 0.0000
0.4847 0.2515 0.5000
0.5000 0.5000 0.5000